Jo Coles - York and North Yorkshire Deputy Mayor for Policing, Fire and Crime

Jo Coles - North Yorkshire Deputy Mayor for Policing, Fire and Crime

21 November, 2017

Women in Policing

Youth Commission blog by Charlotte Frost

On the 3rd November I attended the first ‘Women in Policing Conference! An interesting experience to say the least. As a commission member whose goal is to become a member of the police force and work my way up through the ranks it was great to see the Chief Constable, Deputy Chief Constable and the Police and Crime Commissioner addressing the issues women face on their journey within the organisation such as entry to the police, working their way up the ranks, derogatory comments within the organisation and being undermined or disrespected by males within the work place according to their gender.

I went to the conference to share the priorities of the NYYC and to gather responses from delegates that fit the 14-25 age group. Due to the ages of the people attending this was a little tough as many were outside the age bracket. However, I talked to LOTS of different people who work for, alongside and in the interests of the police. Everyone I spoke to was so interested in our priorities, and the ‘Big Conversation’. I honestly feel like I really brought to light some of the issues young people face, which I will bring up and discuss with my peers before the Big Conversation.

I was invited to sit on a panel towards the end of the day, but before that I listened to some amazing women discuss how they changed their lives around. Fancy climbing mount Everest – talk to Jo Bradshaw. Want to become a fighter (in the ring!) – Chat to Rachel Mackenzie. I was so inspired by the women at the conference its taught me to take larger steps everyday, and if I want too, a leap of faith.

After I’d been inspired, I sat on a panel with Chief Constable Dave Jones, Deputy Chief Constable Lisa Winward, Police and Crime Commissioner Julia Mulligan and Xanthe Tait.

‘How does your career affect your family life, do you have to make sacrifices?’

‘Do women really have enough opportunity within the police, and do young women have enough opportunity to get into the police?’

‘How can we encourage and change the stigma around women being open and honest about pregnancy within the work place?’

No. 1
Computed, not measured: NdLu3S6 after structural relaxation at the meta-GGA r2SCAN level of DFT.

Lattice parameters (Å, degrees): 3.9099 10.8999 11.1440 70.95 90.00 90.00
Fractional positions:
S: 0.7500 0.9774 0.8881
S: 0.7500 0.3008 0.7489
S: 0.2500 0.5815 0.5912
S: 0.7500 0.8931 0.4426
S: 0.7500 0.2313 0.2294
S: 0.2500 0.7687 0.7706
S: 0.7500 0.6205 0.0359
S: 0.7500 0.4185 0.4088
S: 0.2500 0.6992 0.2511
S: 0.2500 0.0226 0.1119
S: 0.2500 0.1069 0.5574
S: 0.2500 0.3795 0.9641
Lu: 0.7500 0.6616 0.4121
Lu: 0.2500 0.0569 0.3335
Lu: 0.2500 0.3384 0.5879
Lu: 0.7500 0.9431 0.6665
Lu: 0.7500 0.1795 0.9990
Lu: 0.2500 0.8205 0.0010
Nd: 0.2500 0.4498 0.1965
Nd: 0.7500 0.5502 0.8035

Results
volume = 224 Å³/f.u.
SG = P2_1/m
energy = -431.39 eV/cell



No. 2
Computed, not measured: LuNi5 after structural relaxation at the meta-GGA r2SCAN level of DFT.

Lattice parameters (Å, degrees): 4.7752 4.7751 3.9031 90.00 90.00 120.00
Fractional positions:
Ni: 0.0000 0.5000 0.5000
Ni: 0.5000 0.5000 0.5000
Ni: 0.5000 0.0000 0.5000
Ni: 0.3333 0.6667 0.0000
Ni: 0.6667 0.3333 0.0000
Lu: 0.0000 0.0000 0.0000

Results
volume = 77 Å³/f.u.
SG = P6/mmm
energy = -99.93 eV/cell



No. 3
Computed, not measured: LuNi after structural relaxation at the meta-GGA r2SCAN level of DFT.

Lattice parameters (Å, degrees): 4.0146 5.2966 6.8869 90.00 90.00 90.00
Fractional positions:
Ni: 0.7500 0.1260 0.4645
Ni: 0.2500 0.8740 0.5355
Ni: 0.2500 0.6260 0.0355
Ni: 0.7500 0.3740 0.9645
Lu: 0.2500 0.1321 0.1798
Lu: 0.2500 0.3679 0.6798
Lu: 0.7500 0.8679 0.8202
Lu: 0.7500 0.6321 0.3202

Results
volume = 37 Å³/f.u.
SG = Pnma
energy = -204.23 eV/cell



No. 4
Computed, not measured: Lu2NiOs after structural relaxation at the meta-GGA r2SCAN level of DFT.

Lattice parameters (Å, degrees): 4.6607 4.6607 4.6607 60.00 60.00 60.00
Fractional positions:
Lu: 0.0000 0.0000 0.0000
Lu: 0.5000 0.5000 0.5000
Ni: 0.2500 0.2500 0.2500
Os: 0.7500 0.7500 0.7500

Results
volume = 72 Å³/f.u.
SG = Fm-3m
energy = -143.03 eV/cell



No. 5
Computed, not measured: LuNiPb after structural relaxation at the meta-GGA r2SCAN level of DFT.

Lattice parameters (Å, degrees): 7.3675 7.3675 3.7832 90.00 90.00 120.00
Fractional positions:
Lu: 0.0000 0.5983 0.5000
Lu: 0.5983 0.0000 0.5000
Lu: 0.4017 0.4017 0.5000
Pb: 0.0000 0.2665 0.0000
Pb: 0.7335 0.7335 0.0000
Pb: 0.2665 0.0000 0.0000
Ni: 0.6667 0.3333 0.0000
Ni: 0.0000 0.0000 0.5000
Ni: 0.3333 0.6667 0.0000

Results
volume = 59 Å³/f.u.
SG = P-62m
energy = -323.19 eV/cell



No. 6
Computed, not measured: LuSi2Ni2 after structural relaxation at the meta-GGA r2SCAN level of DFT.

Lattice parameters (Å, degrees): 3.8870 3.8870 5.4577 110.86 110.86 90.00
Fractional positions:
Si: 0.6251 0.6251 0.2503
Si: 0.3749 0.3749 0.7497
Ni: 0.2500 0.7500 0.5000
Ni: 0.7500 0.2500 0.5000
Lu: 0.0000 0.0000 0.0000

Results
volume = 71 Å³/f.u.
SG = I4/mmm
energy = -83.87 eV/cell



No. 7
Computed, not measured: Lu2NiSn6 after structural relaxation at the meta-GGA r2SCAN level of DFT.

Are some of the questions the panel and myself faced. Luckily, each member had fabulous responses and were well equipped with answers which clearly outlined change is ahead. Women in policing are making a stand and equality is on the horizon.

Neil Northend from North Yorkshire Police, said:

“It was great to have Charlotte attend the conference and be on the Q&A panel to answer questions. Charlotte provided a perspective from a young woman’s view around the challenges there are for women to progress and develop not only in the workplace but in life too, providing advice on how to try and overcome this”.

**Materials data, as found in the file:**
┌──
(1)
Crystalline MgSbO3 at its relaxed geometry. Source: the Materials Project database, functional GGA-PBE.

Cell: 5.550 7.950 5.565 Å, 90.00 91.81 90.00°
Space group P2_1/m (No. 11)
Inequivalent atoms, fractional coordinates:
Mg 0.009 0.250 0.033 [2 per cell]
Mg 0.479 0.250 0.526 [2 per cell]
Sb 0.000 0.000 0.500 [2 per cell]
Sb 0.500 0.000 0.000 [2 per cell]
O 0.138 0.250 0.384 [2 per cell]
O 0.190 0.570 0.149 [4 per cell]
O 0.361 0.569 0.682 [4 per cell]
O 0.362 0.250 0.903 [2 per cell]

Calculated values
As for the MP2020-corrected energy: -125.89 eV per cell.


(2)
Crystalline MgSb4O8 at its relaxed geometry. Source: the Materials Project database, functional GGA-PBE.

Cell: 3.247 8.146 8.487 Å, 111.77 96.61 95.11°
Space group P1 (No. 1)
Inequivalent atoms, fractional coordinates:
Mg 0.000 0.000 0.000 [1 per cell]
Sb 0.043 0.980 0.352 [1 per cell]
Sb 0.341 0.697 0.609 [1 per cell]
Sb 0.632 0.347 0.218 [1 per cell]
Sb 0.807 0.355 0.765 [1 per cell]
O 0.105 0.200 0.271 [1 per cell]
O 0.145 0.469 0.168 [1 per cell]
O 0.323 0.490 0.715 [1 per cell]
O 0.493 0.916 0.170 [1 per cell]
O 0.523 0.151 0.988 [1 per cell]
O 0.675 0.150 0.543 [1 per cell]
O 0.746 0.507 0.463 [1 per cell]
O 0.907 0.788 0.784 [1 per cell]

Calculated values
As for the MP2020-corrected energy: -81.56 eV per cell. The relative energy among the computed polymorphs comes out at 8 meV per atom.


(3)
Crystalline MgSb2O at its relaxed geometry. Source: the Materials Project database, functional GGA-PBE.

Cell: 9.389 16.210 7.060 Å, 90.00 90.81 90.00°
Space group C2/m (No. 12)
Inequivalent atoms, fractional coordinates:
Mg 0.163 0.163 0.461 [8 per cell]
Mg 0.172 0.500 0.462 [4 per cell]
Sb 0.000 0.000 0.000 [2 per cell]
Sb 0.000 0.000 0.500 [2 per cell]
Sb 0.000 0.333 0.000 [4 per cell]
Sb 0.000 0.333 0.500 [4 per cell]
Sb 0.160 0.500 0.045 [4 per cell]
Sb 0.171 0.170 0.044 [8 per cell]
O 0.091 0.091 0.658 [8 per cell]
O 0.179 0.000 0.343 [4 per cell]

Calculated values
As for the MP2020-corrected energy: -211.46 eV per cell. The relative energy among the computed polymorphs comes out at 59 meV per atom.


(4)
Crystalline MgSb2O at its relaxed geometry. Source: the Materials Project database, functional GGA-PBE.

Cell: 9.568 16.554 6.478 Å, 90.00 90.15 90.00°
Space group C2/m (No. 12)
Inequivalent atoms, fractional coordinates:
Mg 0.141 0.000 0.363 [4 per cell]
Mg 0.180 0.320 0.361 [8 per cell]
Sb 0.000 0.167 0.000 [4 per cell]
Sb 0.000 0.167 0.500 [4 per cell]
Sb 0.000 0.500 0.000 [2 per cell]
Sb 0.000 0.500 0.500 [2 per cell]
Sb 0.126 0.000 0.877 [4 per cell]
Sb 0.186 0.313 0.877 [8 per cell]
O 0.080 0.419 0.300 [8 per cell]
O 0.163 0.500 0.701 [4 per cell]

Calculated values
As for the MP2020-corrected energy: -214.31 eV per cell. The relative energy among the computed polymorphs comes out at 0 meV per atom.


(5)
Crystalline MgSbO3 at its relaxed geometry. Source: the Materials Project database, functional GGA-PBE.

Cell: 5.470 5.543 9.717 Å, 90.00 123.77 90.00°
└──

Find out more about the Youth Commission